A review by jadeeby
All Fall Down by Megan Hart


Originally posted on my blog Chasing Empty Pavements

I absolutely adore the cover of this book. It's so simplistic yet ominous. It's the perfect cover to signal that something not quite right is going to happen in the novel. The storm clouds are gorgeous. Gah, I just love the cover. Kudos to the designer. So I remember reading the synopsis when I requested this novel but until I started reading it, I completely forgot what it was about.

What I really liked about this novel was the characterization. I especially loved the characterization of Liesel. I loved that Hart didn't shy away from the way many women would feel after marrying someone whose been divorced... the "other" woman never truly goes away and I think sometimes writers don't show that side of the relationship. Hart dared to go there and explore those feelings and it turned out so well for Liesel's characterization. I also thought she handled Liesel's desire to have children against Sunny and her children showing up and the subsequent challenges of motherhood or maybe in this case, grandmother-hood.
Sunny was another character that I really liked. Hart did a great job showing us how Sunny grapples with this entire lifestyle she grew up in versus the "real world." I imagine it would be as difficult in real life as it is for her in the novel. I like that she recognizes that some of the things she was taught was wrong but that some of the things she was taught could also still be considered right. This novel is an interesting look at religion/cults/organized groups but it doesn't go into a whole lot of detail.
I thought the most obvious tension of Sunny showing up on her father's doorstep when he didn't even know she existed was done fairly well. Christopher reacted much how I think most men would have reacted.
The writing was also very well done and it was a fairly quick read. I'm a huge fan of ambiguous endings and this one aligned right in my fav type of endings.

_Attached: data records_
........
The following is a simulated powder XRD pattern of Lu2AlTc. It was derived from a crystal structure in OQMD, relaxed with GGA-PBE, using Cu Ka.

Largest 10 diffraction maxima, low angle first, 10 to 90 degrees two-theta:
2θ = 22.70°, intensity 28
2θ = 26.27°, intensity 3
2θ = 37.49°, intensity 100
2θ = 44.28°, intensity 15
2θ = 54.07°, intensity 17
2θ = 59.38°, intensity 6
2θ = 67.65°, intensity 35
2θ = 72.37°, intensity 5
2θ = 80.00°, intensity 11
2θ = 84.48°, intensity 5

```
4
Lattice="0.0000 3.3923 3.3923 3.3923 0.0000 3.3923 3.3923 3.3923 0.0000" Properties=species:S:1:pos:R:3 pbc="T T T"
Lu 0.0000 0.0000 0.0000
Lu 1.6962 1.6962 1.6962
Al 3.3923 3.3923 3.3923
Tc 5.0885 5.0885 5.0885
```

* * * * *

Zr2Pd: theoretical XRD peak list (CuKα), based on a crystal structure in the Materials Project, relaxed with GGA-PBE.
Kinematic intensities with the Lorentz-polarization factor, no thermal factor.

Structural model:
```
Zr2Pd
1.0
-1.6790 1.6790 5.4220
1.6790 -1.6790 5.4220
1.6790 1.6790 -5.4220
Zr Pd
2 1
direct
0.1567 0.1567 0.0000
0.8433 0.8433 0.0000
0.5000 0.5000 0.0000
```

The 6 most intense peaks (2θ = 15–90°), sorted by position:
2θ = 36.5°, I = 1000; 2θ = 37.9°, I = 461; 2θ = 54.7°, I = 155; 2θ = 64.8°, I = 167; 2θ = 67.5°, I = 315; 2θ = 77.6°, I = 98

* * * * *

1.
Diffraction record for TlHgF3. The PXRD pattern is computed, not measured: it uses a DFT-relaxed cell (PBE, the Materials Project) and copper Kα.
Peak positions follow from Bragg's law for the DFT cell and can differ from measured ones.

Structural model:
a b c (Å): 6.379 13.144 9.051
angles (deg): 90.00 90.00 90.00
Element x y z (fractional)
Tl  0.241  0.119  0.000
Tl  0.249  0.127  0.500
Tl  0.251  0.627  0.500
Tl  0.259  0.619  0.000
Tl  0.741  0.381  0.000
Tl  0.749  0.373  0.500
Tl  0.751  0.873  0.500
Tl  0.759  0.881  0.000
Hg  0.244  0.875  0.250
Hg  0.244  0.875  0.750
Hg  0.256  0.375  0.250
Hg  0.256  0.375  0.750
Hg  0.744  0.625  0.250
Hg  0.744  0.625  0.750
Hg  0.756  0.125  0.250
Hg  0.756  0.125  0.750
F  0.000  0.000  0.191
F  0.000  0.000  0.809
F  0.000  0.500  0.204
F  0.000  0.500  0.796
F  0.041  0.239  0.301
F  0.041  0.239  0.699
F  0.197  0.916  0.500
F  0.210  0.830  0.000
F  0.290  0.330  0.000
F  0.303  0.416  0.500
F  0.459  0.739  0.301
F  0.459  0.739  0.699
F  0.500  0.000  0.204
F  0.500  0.000  0.796
F  0.500  0.500  0.191
F  0.500  0.500  0.809
F  0.541  0.261  0.301
F  0.541  0.261  0.699
F  0.697  0.584  0.500
F  0.710  0.670  0.000
F  0.790  0.170  0.000
F  0.803  0.084  0.500
F  0.959  0.761  0.301
F  0.959  0.761  0.699

The 8 most intense peaks (2θ from 10° to 90°), low angle first:
d = 3.286 Å, 2θ 27.14, intensity 24
d = 3.218 Å, 2θ 27.72, intensity 100
d = 3.190 Å, 2θ 27.97, intensity 24
d = 2.289 Å, 2θ 39.37, intensity 27
d = 2.263 Å, 2θ 39.84, intensity 12
d = 1.884 Å, 2θ 48.31, intensity 25
d = 1.846 Å, 2θ 49.36, intensity 34
d = 1.609 Å, 2θ 57.25, intensity 16

---

2.
........

Liesel and Christopher kind of annoyed me with their shifting personalities. I didn't even feel like they really loved each other. One minute they were fine and the next they were not. It just felt like they'd change moods but there wouldn't exactly be good textual evidence as to why they should have changed or acted like that. Just made for a few confusing spots.
In my opinion, things started to kind of fall apart toward the last part of the book. It's like Sunny's relationships that were going so well seemed to just stop. There was a reintroduction of a character from her past and I know that had something to do with it, but to me, it didn't seem like enough to make up for how everything seemed to just stop. This made for the last couple chapters to seem rushed/abrupt and not quite the best they could have been.

Overall, I thought this was a quick, easy and enjoyable read. I liked Hart's writing style and the ease with which the book flowed. I recommend this book for Contemporary Adult lovers or anyone looking for a different kind of read. I'd say Megan Hart is a mixture of Jodi Picoult and Kristin Hannah.

**I received this book free from the publisher through www.netgalley.com. I was not required to write a positive review. The opinions I have expressed are my own.